Request:
Now set down all of the block further below exactly.
Data:
- - -
No. 1
## Sr4Al (PBE)

Data for a geometry-optimized Sr4Al structure.

Unit cell a=6.6774 b=6.6774 c=6.6774 alpha=101.87 beta=101.87 gamma=126.06
With the nearest neighbours (Å) after each atom.
Positions (direct):
Sr 0.8024 0.3711 0.1735  1 Al 3.54, 4 Sr 3.76-3.91
Sr 0.3711 0.1976 0.5687  1 Al 3.54, 4 Sr 3.76-3.91
Sr 0.1976 0.6289 0.8265  1 Al 3.54, 4 Sr 3.76-3.91
Sr 0.6289 0.8024 0.4313  1 Al 3.54, 4 Sr 3.76-3.91
Al 0.0000 0.0000 0.0000  4 Sr 3.54

energy above the lowest structure with this stoichiometry	0.014	eV per atom
energy	-2.00	eV per atom
volume	215	Å³/cell
SG	I4/m (87)
ΔH_f (0 K)	0.10	eV/atom


No. 2
## AlTlBi2Ru (PBE)

Data for a geometry-optimized AlTlBi2Ru structure.

Unit cell a=5.5181 b=5.5181 c=4.6461 alpha=90.00 beta=90.00 gamma=90.00
With the nearest neighbours (Å) after each atom.
Positions (direct):
Ru 0.0000 0.0000 0.5000  2 Al 2.32
Tl 0.5000 0.5000 0.5000  8 Bi 3.61, 4 Ru 3.90
Bi 0.0000 0.5000 0.0000  2 Al 2.76
Bi 0.5000 0.0000 0.0000  2 Al 2.76
Al 0.0000 0.0000 0.0000  2 Ru 2.32

energy	-3.92	eV per atom
volume	141	Å³/cell
SG	P4/mmm (123)
ΔH_f (0 K)	0.71	eV/atom


No. 3
## Sb3WBr (PBE)

Data for a geometry-optimized Sb3WBr structure.

Unit cell a=5.2546 b=5.2546 c=5.2546 alpha=90.00 beta=90.00 gamma=90.00
With the nearest neighbours (Å) after each atom.
Positions (direct):
Sb 0.0000 0.5000 0.0000  2 W 2.63
Sb 0.0000 0.0000 0.5000  2 W 2.63
Sb 0.5000 0.0000 0.0000  2 W 2.63
Br 0.5000 0.5000 0.5000  12 Sb 3.72
W 0.0000 0.0000 0.0000  6 Sb 2.63

energy above the lowest structure with this stoichiometry	0.000	eV per atom
energy	-5.05	eV per atom
volume	145	Å³/cell
SG	Pm-3m (221)
formation energy from raw total energies	0.352	eV per atom


No. 4
## Ce5GaPt (PBE)

Data for a geometry-optimized Ce5GaPt structure.

Unit cell a=7.1363 b=7.1363 c=10.7291 alpha=67.80 beta=67.80 gamma=47.36
With the nearest neighbours (Å) after each atom.
Positions (direct):
Ce 0.7687 0.7407 0.1245  1 Pt 2.92, 3 Ce 3.00-3.06, 1 Ga 3.03
Ce 0.3787 0.3498 0.5687  5 Ce 3.00-3.30, 2 Ga 3.13-3.14, 1 Pt 3.22
Ce 0.7407 0.7687 0.6245  1 Pt 2.92, 3 Ce 3.00-3.06, 1 Ga 3.03
Ce 0.0033 0.9967 0.2500  2 Pt 2.68, 2 Ga 2.86-2.87
Ce 0.6502 0.6213 0.9313  5 Ce 3.00-3.30, 2 Ga 3.13-3.14, 1 Pt 3.22
Ce 0.3498 0.3787 0.0687  5 Ce 3.00-3.30, 2 Ga 3.13-3.14, 1 Pt 3.22
Ce 0.9967 0.0033 0.7500  2 Pt 2.68, 2 Ga 2.86-2.87
Ce 0.2593 0.2313 0.3755  1 Pt 2.92, 3 Ce 3.00-3.06, 1 Ga 3.03
Ce 0.6213 0.6502 0.4313  5 Ce 3.00-3.30, 2 Ga 3.13-3.14, 1 Pt 3.22
Ce 0.2313 0.2593 0.8755  1 Pt 2.92, 3 Ce 3.00-3.06, 1 Ga 3.03
Ga 0.5029 0.4971 0.2500  8 Ce 2.86-3.14
Ga 0.4971 0.5029 0.7500  8 Ce 2.86-3.14
Pt 0.0000 0.0000 0.0000  4 Ce 2.68-2.92
Pt 0.0000 0.0000 0.5000  4 Ce 2.68-2.92

energy	-5.80	eV per atom
volume	366	Å³/cell
SG	C2/c (15)
ΔH_f (0 K)	-0.26	eV/atom


No. 5
## PrGa3IrRu (PBE)

Data for a geometry-optimized PrGa3IrRu structure.

Unit cell a=5.9043 b=7.9256 c=6.7246 alpha=126.11 beta=90.00 gamma=90.00
With the nearest neighbours (Å) after each atom.
Positions (direct):
Pr 0.7500 0.2640 0.5279  2 Ga 2.96, 1 Ru 3.07, 1 Ir 3.11
Pr 0.2500 0.7360 0.4721  2 Ga 2.96, 1 Ru 3.07, 1 Ir 3.11
Ga 0.2500 0.2388 0.4775  1 Ru 2.33, 1 Ir 2.35
Ga 0.0000 0.2548 0.0000  2 Ru 2.49, 2 Ir 2.51
Ga 0.5000 0.7452 0.0000  2 Ru 2.49, 2 Ir 2.51
Ga 0.5000 0.2548 0.0000  2 Ru 2.49, 2 Ir 2.51
Ga 0.0000 0.7452 0.0000  2 Ru 2.49, 2 Ir 2.51
Ga 0.7500 0.7612 0.5225  1 Ru 2.33, 1 Ir 2.35
Ir 0.2500 0.0221 0.0442  5 Ga 2.35-2.51
Ir 0.7500 0.9779 0.9558  5 Ga 2.35-2.51
Ru 0.2500 0.4534 0.9069  5 Ga 2.33-2.49
Ru 0.7500 0.5466 0.0931  5 Ga 2.33-2.49

energy	-5.71	eV per atom
volume	254	Å³/cell
SG	Cmcm (63)
ΔH_f (0 K)	-0.37	eV/atom


No. 6
## RbTl2VTc (PBE)

Data for a geometry-optimized RbTl2VTc structure.

Unit cell a=5.3808 b=5.4991 c=5.3808 alpha=90.00 beta=90.00 gamma=90.00
With the nearest neighbours (Å) after each atom.
Positions (direct):
Tl 0.0000 0.0000 0.5000  2 Tc 2.69
Tl 0.5000 0.0000 0.0000  2 Tc 2.69
Tc 0.0000 0.0000 0.0000  4 Tl 2.69, 2 Rb 2.75
Rb 0.0000 0.5000 0.0000  2 Tc 2.75
- - -
Completed:
No. 1
## Sr4Al (PBE)

Data for a geometry-optimized Sr4Al structure.

Unit cell a=6.6774 b=6.6774 c=6.6774 alpha=101.87 beta=101.87 gamma=126.06
With the nearest neighbours (Å) after each atom.
Positions (direct):
Sr 0.8024 0.3711 0.1735  1 Al 3.54, 4 Sr 3.76-3.91
Sr 0.3711 0.1976 0.5687  1 Al 3.54, 4 Sr 3.76-3.91
Sr 0.1976 0.6289 0.8265  1 Al 3.54, 4 Sr 3.76-3.91
Sr 0.6289 0.8024 0.4313  1 Al 3.54, 4 Sr 3.76-3.91
Al 0.0000 0.0000 0.0000  4 Sr 3.54

energy above the lowest structure with this stoichiometry	0.014	eV per atom
energy	-2.00	eV per atom
volume	215	Å³/cell
SG	I4/m (87)
ΔH_f (0 K)	0.10	eV/atom


No. 2
## AlTlBi2Ru (PBE)

Data for a geometry-optimized AlTlBi2Ru structure.

Unit cell a=5.5181 b=5.5181 c=4.6461 alpha=90.00 beta=90.00 gamma=90.00
With the nearest neighbours (Å) after each atom.
Positions (direct):
Ru 0.0000 0.0000 0.5000  2 Al 2.32
Tl 0.5000 0.5000 0.5000  8 Bi 3.61, 4 Ru 3.90
Bi 0.0000 0.5000 0.0000  2 Al 2.76
Bi 0.5000 0.0000 0.0000  2 Al 2.76
Al 0.0000 0.0000 0.0000  2 Ru 2.32

energy	-3.92	eV per atom
volume	141	Å³/cell
SG	P4/mmm (123)
ΔH_f (0 K)	0.71	eV/atom


No. 3
## Sb3WBr (PBE)

Data for a geometry-optimized Sb3WBr structure.

Unit cell a=5.2546 b=5.2546 c=5.2546 alpha=90.00 beta=90.00 gamma=90.00
With the nearest neighbours (Å) after each atom.
Positions (direct):
Sb 0.0000 0.5000 0.0000  2 W 2.63
Sb 0.0000 0.0000 0.5000  2 W 2.63
Sb 0.5000 0.0000 0.0000  2 W 2.63
Br 0.5000 0.5000 0.5000  12 Sb 3.72
W 0.0000 0.0000 0.0000  6 Sb 2.63

energy above the lowest structure with this stoichiometry	0.000	eV per atom
energy	-5.05	eV per atom
volume	145	Å³/cell
SG	Pm-3m (221)
formation energy from raw total energies	0.352	eV per atom


No. 4
## Ce5GaPt (PBE)

Data for a geometry-optimized Ce5GaPt structure.

Unit cell a=7.1363 b=7.1363 c=10.7291 alpha=67.80 beta=67.80 gamma=47.36
With the nearest neighbours (Å) after each atom.
Positions (direct):
Ce 0.7687 0.7407 0.1245  1 Pt 2.92, 3 Ce 3.00-3.06, 1 Ga 3.03
Ce 0.3787 0.3498 0.5687  5 Ce 3.00-3.30, 2 Ga 3.13-3.14, 1 Pt 3.22
Ce 0.7407 0.7687 0.6245  1 Pt 2.92, 3 Ce 3.00-3.06, 1 Ga 3.03
Ce 0.0033 0.9967 0.2500  2 Pt 2.68, 2 Ga 2.86-2.87
Ce 0.6502 0.6213 0.9313  5 Ce 3.00-3.30, 2 Ga 3.13-3.14, 1 Pt 3.22
Ce 0.3498 0.3787 0.0687  5 Ce 3.00-3.30, 2 Ga 3.13-3.14, 1 Pt 3.22
Ce 0.9967 0.0033 0.7500  2 Pt 2.68, 2 Ga 2.86-2.87
Ce 0.2593 0.2313 0.3755  1 Pt 2.92, 3 Ce 3.00-3.06, 1 Ga 3.03
Ce 0.6213 0.6502 0.4313  5 Ce 3.00-3.30, 2 Ga 3.13-3.14, 1 Pt 3.22
Ce 0.2313 0.2593 0.8755  1 Pt 2.92, 3 Ce 3.00-3.06, 1 Ga 3.03
Ga 0.5029 0.4971 0.2500  8 Ce 2.86-3.14
Ga 0.4971 0.5029 0.7500  8 Ce 2.86-3.14
Pt 0.0000 0.0000 0.0000  4 Ce 2.68-2.92
Pt 0.0000 0.0000 0.5000  4 Ce 2.68-2.92

energy	-5.80	eV per atom
volume	366	Å³/cell
SG	C2/c (15)
ΔH_f (0 K)	-0.26	eV/atom


No. 5
## PrGa3IrRu (PBE)

Data for a geometry-optimized PrGa3IrRu structure.

Unit cell a=5.9043 b=7.9256 c=6.7246 alpha=126.11 beta=90.00 gamma=90.00
With the nearest neighbours (Å) after each atom.
Positions (direct):
Pr 0.7500 0.2640 0.5279  2 Ga 2.96, 1 Ru 3.07, 1 Ir 3.11
Pr 0.2500 0.7360 0.4721  2 Ga 2.96, 1 Ru 3.07, 1 Ir 3.11
Ga 0.2500 0.2388 0.4775  1 Ru 2.33, 1 Ir 2.35
Ga 0.0000 0.2548 0.0000  2 Ru 2.49, 2 Ir 2.51
Ga 0.5000 0.7452 0.0000  2 Ru 2.49, 2 Ir 2.51
Ga 0.5000 0.2548 0.0000  2 Ru 2.49, 2 Ir 2.51
Ga 0.0000 0.7452 0.0000  2 Ru 2.49, 2 Ir 2.51
Ga 0.7500 0.7612 0.5225  1 Ru 2.33, 1 Ir 2.35
Ir 0.2500 0.0221 0.0442  5 Ga 2.35-2.51
Ir 0.7500 0.9779 0.9558  5 Ga 2.35-2.51
Ru 0.2500 0.4534 0.9069  5 Ga 2.33-2.49
Ru 0.7500 0.5466 0.0931  5 Ga 2.33-2.49

energy	-5.71	eV per atom
volume	254	Å³/cell
SG	Cmcm (63)
ΔH_f (0 K)	-0.37	eV/atom


No. 6
## RbTl2VTc (PBE)

Data for a geometry-optimized RbTl2VTc structure.

Unit cell a=5.3808 b=5.4991 c=5.3808 alpha=90.00 beta=90.00 gamma=90.00
With the nearest neighbours (Å) after each atom.
Positions (direct):
Tl 0.0000 0.0000 0.5000  2 Tc 2.69
Tl 0.5000 0.0000 0.0000  2 Tc 2.69
Tc 0.0000 0.0000 0.0000  4 Tl 2.69, 2 Rb 2.75
Rb 0.0000 0.5000 0.0000  2 Tc 2.75